These are the resources that support this NYS Standard.

NY-6.NS.7d: Distinguish comparisons of absolute value from statements about order. For example, recognize that an account balance less than –30 dollars represents a debt greater than 30 dollars.

There are 22 resources.
Title Description Thumbnail Image Curriculum Topics

Math Video Collection: Video Tutorials Series: Rational Numbers

This collection aggregates all the math videos and resources in this series: Video Tutorials Series: Rational Numbers. There are a total of 39 resources. Math Videos Rational Expressions

Math Video Collection: Video Tutorials Series: Integers

This collection aggregates all the math videos and resources in this series: Integers. There are a total of 36 resources. Math Videos Numerical Expressions

Math Examples Collection: Comparing Absolute Values

This collection aggregates all the math examples around the topic of Comparing Absolute Values. There are a total of 9 Math Examples. Math Examples Numerical Expressions

Closed Captioned Video: Integers: Integers and Absolute Value

Closed Captioned Video: Integers: Integers and Absolute Value

Video Tutorial: Integers: Integers and Absolute Value. In this video students continue their exploration of integers by investigating absolute value.

Closed Captioned Video: Integers: Integers and Absolute Value Numerical Expressions

Closed Captioned Video: Rational Numbers: Rational Numbers and Absolute Value

Closed Captioned Video: Rational Numbers: Rational Numbers and Absolute Value

This is part of a collection of video tutorials on the topic of Rational Numbers. This includes defining rational numbers, rational number operations, comparing and ordering rational numbers, and applications of rational numbers.

Closed Captioned Video: Rational Numbers: Rational Numbers and Absolute Value Rational Expressions

Definition--Absolute Value

Definition--Absolute Value

This is part of a collection of math definitions from Media4Math's Visual Glossary.

Definition--AbsoluteValue.jpg Numerical Expressions

Definition--Absolute Value Function

Definition--Absolute Value Function

This is part of a collection of math definitions from Media4Math's Visual Glossary.

Definition--AbsoluteValueFunctions.jpg Special Functions


MATH EXAMPLES--Absolute Value

The complete set of 21 examples that make up this set of tutorials. NOTE: The download is a PPT file.

MATH EXAMPLES--Absolute Value Special Functions


MATH EXAMPLES--Absolute Value Functions in Tabular and Graph Form

This set of tutorials provides 40 examples of absolute value functions in tabular and graph form. NOTE: The download is a PPT file.

MATH EXAMPLES--Absolute Value Functions in Tabular and Graph Form Special Functions

Math Example: Comparing Absolute Values--Example 1

Math Example: Comparing Absolute Values--Example 1

This is part of a collection of math examples that focus on comparing absolute values.

Math Example: Comparing Absolute Values--Example 1 Numerical Expressions

Math Example: Comparing Absolute Values--Example 2

Math Example: Comparing Absolute Values--Example 2

This is part of a collection of math examples that focus on comparing absolute values.

Math Example: Comparing Absolute Values--Example 2 Numerical Expressions

Math Example: Comparing Absolute Values--Example 3

Math Example: Comparing Absolute Values--Example 3

This is part of a collection of math examples that focus on comparing absolute values.

Math Example: Comparing Absolute Values--Example 3 Numerical Expressions

Math Example: Comparing Absolute Values--Example 4

Math Example: Comparing Absolute Values--Example 4

Inserted here: materials data.
********
This record from Alexandria describes BaVSbO6 after structural relaxation. The functional is PBE with a Hubbard U.

Calculated values
D(E_F) in states/eV/cell: 0.000
Spin magnetization in μB per formula unit: 0.0
E_tot in Ha/atom: -0.2506

Cell: 5.2759 5.2759 11.5555 Å, 90.00 90.00 120.00°
Space group P-31c (No. 163)
One atom of each set of equivalent atoms:
Ba 0.0000 0.0000 0.0000 [2 per cell]
V 0.3333 0.6667 0.2500 [2 per cell]
Sb 0.3333 0.6667 0.7500 [2 per cell]
O 0.0136 0.4020 0.1540 [12 per cell]

* * * * *

Version i
A plane-wave DFT calculation with PBE was carried out for a geometry-optimized CsLiRuPtI structure.

**Theoretical density**: 7357 kg/m3

Unit cell a=9.7234 b=5.2082 c=5.2089 alpha=90.00 beta=105.56 gamma=90.00
Last column: nearest neighbours and their distance in Å.
Fractional coordinates of all 10 atoms:
1 Cs 0.4236 0.0000 0.7776  1 Ru 3.37, 4 Cs 3.68, 3 Pt 3.75-3.76
2 Cs 0.4236 0.5000 0.2776  1 Ru 3.37, 4 Cs 3.68, 3 Pt 3.75-3.76
3 Ru 0.0638 0.0000 0.6007  4 Pt 2.68-2.69
4 Ru 0.0638 0.5000 0.1007  4 Pt 2.68-2.69
5 I 0.7368 0.0000 0.4346  4 Li 2.88, 1 Ru 3.06
6 I 0.7368 0.5000 0.9346  4 Li 2.88, 1 Ru 3.06
7 Pt 0.1333 0.0000 0.1353  1 Li 2.49, 4 Ru 2.68-2.69
8 Pt 0.1333 0.5000 0.6353  1 Li 2.49, 4 Ru 2.68-2.69
9 Li 0.8673 0.0000 0.0002  1 Pt 2.49
10 Li 0.8673 0.5000 0.5002  1 Pt 2.49


Version ii
A plane-wave DFT calculation with PBE was carried out for a geometry-optimized CsLiRuPtI structure.

**Theoretical density**: 6135 kg/m3

Unit cell a=4.4384 b=4.4387 c=9.2749 alpha=76.42 beta=76.40 gamma=60.04
Last column: nearest neighbours and their distance in Å.
Fractional coordinates of all 5 atoms:
1 Cs 0.7298 0.1064 0.5982  1 Ru 3.63, 3 I 3.71, 3 Li 3.89-3.91, 3 Pt 4.03-4.05
2 Li 0.2866 0.6624 0.9274  3 Pt 2.57, 3 Ru 2.65
3 Ru 0.5946 0.9705 0.0043  3 Pt 2.61, 1 I 2.62, 3 Li 2.65
4 Pt 0.9465 0.3224 0.9477  3 Li 2.57, 3 Ru 2.61
5 I 0.4955 0.8717 0.2975  1 Ru 2.62


Version iii
A plane-wave DFT calculation with PBE was carried out for a geometry-optimized CsLiRuPtI structure.

**Theoretical density**: 7017 kg/m3

Unit cell a=3.7155 b=3.7348 c=19.5493 alpha=90.00 beta=100.87 gamma=90.00
Last column: nearest neighbours and their distance in Å.
Fractional coordinates of all 10 atoms:
1 Cs 0.0172 0.0000 0.7838  2 Ru 3.65, 2 Pt 3.68-3.70, 4 Cs 3.72-3.73, 4 I 3.79
2 Cs 0.0172 0.5000 0.2838  2 Ru 3.65, 2 Pt 3.68-3.70, 4 Cs 3.72-3.73, 4 I 3.79
3 Li 0.8009 0.0000 0.5649  2 Pt 2.89, 2 Ru 2.93, 4 I 3.02
4 Li 0.8009 0.5000 0.0649  2 Pt 2.89, 2 Ru 2.93, 4 I 3.02
5 Ru 0.1846 0.0000 0.4470  4 Pt 2.63, 2 Li 2.93
6 Ru 0.1846 0.5000 0.9470  4 Pt 2.63, 2 Li 2.93
7 Pt 0.6874 0.0000 0.9499  4 Ru 2.63, 2 Li 2.89
8 Pt 0.6874 0.5000 0.4499  4 Ru 2.63, 2 Li 2.89
9 I 0.3765 0.0000 0.1420  4 Li 3.02
10 I 0.3765 0.5000 0.6420  4 Li 3.02


The structure with the least stability is version ii.


Version i
A plane-wave DFT calculation with PBE was carried out for a geometry-optimized CsLiRuPtI structure.

**Theoretical density**: 6382 kg/m3
********
Here the text continues.

This is part of a collection of math examples that focus on comparing absolute values.

Math Example: Comparing Absolute Values--Example 4 Numerical Expressions

Math Example: Comparing Absolute Values--Example 5

Math Example: Comparing Absolute Values--Example 5

This is part of a collection of math examples that focus on comparing absolute values.

Math Example: Comparing Absolute Values--Example 5 Numerical Expressions

Math Example: Comparing Absolute Values--Example 6

Math Example: Comparing Absolute Values--Example 6

This is part of a collection of math examples that focus on comparing absolute values.

(Records of crystals from another source follow)
'''
This record from Alexandria via LeMat-Bulk describes a relaxed Ge2AsCl crystal. The functional is PBE.

The value obtained for the offset from the most stable computed form is 3 kJ/mol of formula units. As for the space-group type: Fm-3m, No. 225.

a = 4.8427 Å, b = 4.8427 Å, c = 4.8427 Å
α = 60.00°, β = 60.00°, γ = 60.00°
With the nearest neighbours (Å) after each atom.
Sites, in units of the cell vectors:
Cl 0.0000 0.0000 0.0000  8 Ge 2.97
As 0.5000 0.5000 0.5000  8 Ge 2.97
Ge 0.7500 0.7500 0.7500  4 Cl 2.97, 4 As 2.97
Ge 0.2500 0.2500 0.2500  4 Cl 2.97, 4 As 2.97

***

This record from Alexandria via LeMat-Bulk describes a relaxed Ge3AsCl crystal. The functional is PBE.

The value obtained for the offset from the most stable computed form is 108 kJ/mol of formula units. As for the space-group type: Pm-3m, No. 221.

a = 4.9823 Å, b = 4.9823 Å, c = 4.9823 Å
α = 90.00°, β = 90.00°, γ = 90.00°
With the nearest neighbours (Å) after each atom.
Sites, in units of the cell vectors:
Ge 0.0000 0.5000 0.0000  2 Cl 2.49
Ge 0.5000 0.0000 0.0000  2 Cl 2.49
As 0.5000 0.5000 0.5000  12 Ge 3.52
Ge 0.0000 0.0000 0.5000  2 Cl 2.49
Cl 0.0000 0.0000 0.0000  6 Ge 2.49

***

This record from Alexandria via LeMat-Bulk describes a relaxed Ge2As2Cl crystal. The functional is PBE.

As for the space-group type: I4/mmm, No. 139.

a = 4.0586 Å, b = 4.0586 Å, c = 7.4576 Å
α = 74.21°, β = 74.21°, γ = 90.00°
With the nearest neighbours (Å) after each atom.
Sites, in units of the cell vectors:
Ge 0.3865 0.3865 0.2271  4 As 2.77
As 0.2500 0.7500 0.5000  4 Ge 2.77, 4 As 2.87
Ge 0.6135 0.6135 0.7729  4 As 2.77
Cl 0.0000 0.0000 0.0000  8 Ge 3.27
As 0.7500 0.2500 0.5000  4 Ge 2.77, 4 As 2.87

***

This record from Alexandria via LeMat-Bulk describes a relaxed La4GeAs2Cl crystal. The functional is PBE.

As for the space-group type: P2/m, No. 10.

a = 4.3695 Å, b = 7.5358 Å, c = 7.5117 Å
α = 70.79°, β = 90.00°, γ = 90.00°
With the nearest neighbours (Å) after each atom.
Sites, in units of the cell vectors:
As 0.0000 0.0000 0.0000  6 La 3.08-3.09
La 0.5000 0.7525 0.2539  3 As 3.03-3.09, 2 Ge 3.08, 1 Cl 3.11
La 0.0000 0.7607 0.7375  3 As 3.02-3.08, 1 Ge 3.06, 2 Cl 3.16
Cl 0.5000 0.5000 0.0000  6 La 3.11-3.16
La 0.0000 0.2393 0.2625  3 As 3.01-3.08, 1 Ge 3.06, 2 Cl 3.16
As 0.5000 0.0000 0.5000  6 La 3.01-3.03
Ge 0.0000 0.5000 0.5000  6 La 3.06-3.08
La 0.5000 0.2475 0.7461  3 As 3.03-3.09, 2 Ge 3.08, 1 Cl 3.11

***

This record from Alexandria via LeMat-Bulk describes a relaxed La4GeAsCl2 crystal. The functional is PBE.

As for the space-group type: P2/m, No. 10.

a = 4.3601 Å, b = 7.3315 Å, c = 7.5608 Å
α = 69.94°, β = 90.00°, γ = 90.00°
With the nearest neighbours (Å) after each atom.
Sites, in units of the cell vectors:
La 0.5000 0.2630 0.7447  2 Ge 3.00, 1 As 3.01, 3 Cl 3.10-3.11
La 0.0000 0.7361 0.7532  1 Ge 2.99, 2 As 3.00, 3 Cl 3.10-3.11
Ge 0.0000 0.5000 0.5000  6 La 2.99-3.00
La 0.0000 0.2639 0.2468  1 Ge 2.99, 2 As 3.00, 3 Cl 3.10-3.11
Cl 0.0000 0.0000 0.0000  6 La 3.11
'''
(So much for the records of crystals)

Math Example: Comparing Absolute Values--Example 6 Numerical Expressions

Math Example: Comparing Absolute Values--Example 7

Math Example: Comparing Absolute Values--Example 7

This is part of a collection of math examples that focus on comparing absolute values.

Math Example: Comparing Absolute Values--Example 7 Numerical Expressions

Math Example: Comparing Absolute Values--Example 8

Math Example: Comparing Absolute Values--Example 8

This is part of a collection of math examples that focus on comparing absolute values.

Math Example: Comparing Absolute Values--Example 8 Numerical Expressions

Math Example: Comparing Absolute Values--Example 9

Math Example: Comparing Absolute Values--Example 9

This is part of a collection of math examples that focus on comparing absolute values.

Math Example: Comparing Absolute Values--Example 9 Numerical Expressions

Video Transcript: Integers: Integers and Absolute Value

Video Transcript: Integers: Integers and Absolute Value

This is the transcript that goes with the video segment entitled Video: Integers: Integers and Absolute Value.

Video Transcript: Integers: Integers and Absolute Value Numerical Expressions

Video Transcript: Rational Numbers: Rational Numbers and Absolute Value

Video Transcript: Rational Numbers: Rational Numbers and Absolute Value

This is the transcript that goes with the video segment entitled Video Tutorial: Rational Numbers: Rational Numbers and Absolute Value.

Video Transcript: Rational Numbers: Rational Numbers and Absolute Value Rational Expressions

Video Tutorial: Integers, Video 3

Video Tutorial: Integers, Video 3

VideoTutorial--IntegersTutorialVideoThumbnail03.jpg Numerical Expressions

Video Tutorial: Rational Numbers: Video 4

Video Tutorial: Rational Numbers: Video 4

VideoTutorial--RationalNumbersVideoThumbnail04.jpg Rational Expressions